“Extensive test program shows no evidence of a detrimental effect of the inclusions on the brittle fracture reference temperature”

An international panel of experts supported the Swiss Federal Nuclear Safety Inspectorate ENSI in assessing Axpo’s safety case for the Beznau 1 reactor pressure vessel. In an interview, the chair of the review panel Tim Williams explains why they support the conclusion that Beznau 1 may be restarted.

The IRP has been following Axpo’s safety assessment process of Beznau for two years and has independently assessed Axpo’s safety case within a scope defined by ENSI. What was the conclusion of the experts?

(Molecular data, kept here for reference)
Entry 1:
{
  "formula": "C15H44N7O7P3",
  "method": "ωB97M-V with the def2-TZVPD basis set",
  "elements": ["C", "O", "C", "N", "C", "O", "O", "P", "O", "O", "H", "H", "H", "H", "H", "H", "H", "H", "O", "P", "N", "C", "C", "N", "C", "C", "N", "C", "C", "H", "H", "H", "H", "H", "H", "H", "H", "H", "H", "H", "H", "H", "H", "H", "H", "H", "H", "O", "P", "N", "C", "C", "N", "C", "C", "N", "C", "C", "H", "H", "H", "H", "H", "H", "H", "H", "H", "H", "H", "H", "H", "H", "H", "H", "H", "H"],
  "coordinates": [[-0.43719, -0.99374, 1.46207], [-0.04801, -2.18670, 2.12922], [0.45407, -1.97680, 3.41575], [1.84207, -1.52834, 3.41800], [2.16780, -0.20680, 3.75231], [3.28066, 0.12908, 4.03957], [1.12999, 0.69543, 3.69723], [0.82375, 1.61052, 5.08466], [-0.62246, 2.23051, 4.70575], [0.44685, 0.48254, 6.20273], [-1.18220, -0.44935, 2.04929], [-0.86660, -1.28530, 0.50630], [0.42718, -0.35290, 1.26847], [0.41744, -2.94689, 3.90751], [-0.18682, -1.27316, 3.95562], [2.28030, -1.77725, 2.53854], [-1.33586, 1.57895, 4.67186], [0.24878, -0.40445, 5.87563], [-1.66274, -3.33516, -1.34152], [-1.11684, -4.55178, -1.97988], [0.55444, -4.34703, -2.04652], [1.43183, -5.19886, -2.82732], [1.15663, -4.02399, -0.75834], [-1.73215, -4.47387, -3.59202], [-0.88850, -3.97780, -4.67313], [-3.04758, -3.84180, -3.64344], [-1.23382, -6.24687, -1.79984], [-2.03458, -7.04667, -2.73214], [-1.58955, -6.61133, -0.41116], [1.62288, -6.16711, -2.34606], [2.38858, -4.68730, -2.95342], [1.04408, -5.39092, -3.81914], [1.24226, -4.90373, -0.10419], [0.55221, -3.28236, -0.24008], [2.15590, -3.60637, -0.89700], [-0.36753, -3.04594, -4.42299], [-1.51049, -3.79519, -5.55079], [-0.15560, -4.71761, -4.98609], [-2.99169, -2.74847, -3.61622], [-3.66690, -4.15900, -2.80471], [-3.55372, -4.14575, -4.56314], [-3.08183, -6.73895, -2.79343], [-2.00040, -8.08096, -2.38306], [-1.60188, -7.02638, -3.72706], [-2.62868, -6.36372, -0.17028], [-0.94595, -6.08020, 0.29357], [-1.43960, -7.67896, -0.25244], [-1.23897, 5.22940, -0.95876], [0.03575, 5.24524, -0.21330], [0.05895, 3.85552, 0.73814], [1.03095, 3.64468, 1.79567], [-0.17245, 2.61528, 0.00673], [-0.12661, 6.60722, 0.83893], [-0.50745, 6.41236, 2.23367], [-0.92919, 7.66737, 0.23700], [1.70115, 5.44408, -0.54509], [2.38400, 6.70235, -0.22987], [2.01785, 5.04989, -1.93417], [2.01628, 3.34183, 1.41558], [0.67016, 2.85532, 2.45332], [1.17255, 4.52075, 2.41494], [0.71302, 2.29216, -0.56045], [-1.00009, 2.73498, -0.69042], [-0.43570, 1.81988, 0.70629], [-1.36037, 5.73481, 2.35887], [-0.77353, 7.37894, 2.66483], [0.32228, 6.04617, 2.83278], [-2.00532, 7.48049, 0.31884], [-0.69660, 7.78109, -0.82162], [-0.69776, 8.61454, 0.73121], [1.93819, 7.57977, -0.70634], [3.41452, 6.60800, -0.57937], [2.41969, 6.86282, 0.84272], [1.63361, 5.76667, -2.66773], [1.58009, 4.07437, -2.15730], [3.09645, 4.96272, -2.06383]],
  "smiles": "CN(C)P(=O)(N(C)C)N(C)C.CN(C)P(=O)(N(C)C)N(C)C.COCNC(=O)OP(O)O",
  "e_homo_ev": -8.423,
  "orbital_gap_ev": 8.81
}

Entry 2:
{
(Here the page continues)

Tim Williams: The IRP considers that the safety case is acceptable.

The IRP therefore supports ENSI’s decision that the reactor pressure vessel is safe. What gives you this confidence?

Axpo Power AG has done extensive investigations and analyses to demonstrate that the reactor pressure vessel is safe. The cause of the great majority of the ultrasonic test indications has been convincingly established, by the manufacture of a replica RPV shell, to be alumina agglomerates. The materials testing has shown that these agglomerates do not affect the key materials properties. The structural integrity analysis shows that the RPV does not contain any flaws that could lead to RPV failure. The IRP is satisfied that work has been done to all appropriate national and international standards.

Are the available data sufficient to make such a decision?

Yes, Axpo has inspected the RPV very thoroughly for flaws and validated the flaw data used in the structural integrity assessment. It has carried out a large amount of materials testing to provide the materials properties information required. It has performed extensive metallurgical investigations and analyses to ensure correct interpretation of the results. The IRP is satisfied that there is no need to generate more data.

When the work started there were concerns that, in view of their unusual size and large numbers, the inclusions might have a negative influence on the brittle fracture reference temperature. What do the IRP experts say about this?

The extensive test program shows no experimental evidence of a detrimental effect of the inclusions on the brittle fracture reference temperature. This result is consistent with expectations based on theoretical models.

The determination of the brittle fracture reference temperature based on the master curve concept is also criticized. How do the IRP experts assess this approach?

The use of the Master Curve to set the brittle fracture reference temperature has been established by extensive international research over many years and is accepted in international codes and standards. However, it is known to have limitations that depend on material, and there is strong evidence that these limitations apply to the Beznau 1 materials. The IRP has therefore recommended that the more conservative of the methods allowed by ENSI to determine end of life brittle fracture reference temperatures be used (method II-b). This does not affect the acceptability of the safety case.


Tim Williams

Tim Williams is an international expert on effects of irradiation damage on the structural integrity of reactor pressure vessels. He is an experienced chair of international technical and advisory groups. Among other things, he led the International Review Panel in the case of the Beznau 1 reactor pressure vessel.

Tim Williams gained a degree in Material Science at the University of Cambridge in 1967. He worked over 40 years for Rolls-Royce plc as an expert on reactor core materials and mechanical testing of steel and other materials. He has been actively involved in several international collaborative irradiation damage programmes.